(Contents)
~~~
[1]
Calculated X-ray powder pattern
Compound: Mn2GaO4
Radiation: Cu Kα (weighted mean of Kα1 and Kα2)
Structure: the PBE+U geometry in Alexandria

```
data_Mn2GaO4
_chemical_formula_sum 'Mn8 Ga4 O16'
_symmetry_space_group_name_H-M 'P 1'
_symmetry_Int_Tables_number 1
_symmetry_space_group_name_Hall 'P 1'
_cell_length_a 5.970
_cell_length_b 5.970
_cell_length_c 9.076
_cell_angle_alpha 90.00
_cell_angle_beta 90.00
_cell_angle_gamma 90.00
loop_
_atom_site_label
_atom_site_fract_x
_atom_site_fract_y
_atom_site_fract_z
Mn1 0.000 0.254 0.000
Mn2 0.000 0.746 0.500
Mn3 0.248 0.248 0.375
Mn4 0.248 0.752 0.125
Mn5 0.254 0.000 0.750
Mn6 0.746 0.000 0.250
Mn7 0.752 0.248 0.625
Mn8 0.752 0.752 0.875
Ga1 0.251 0.500 0.750
Ga2 0.500 0.251 0.000
Ga3 0.500 0.749 0.500
Ga4 0.749 0.500 0.250
O1 0.035 0.250 0.754
O2 0.035 0.750 0.746
O3 0.250 0.035 0.996
O4 0.250 0.965 0.504
O5 0.251 0.478 0.982
O6 0.251 0.522 0.518
O7 0.478 0.251 0.768
O8 0.478 0.749 0.732
O9 0.522 0.251 0.232
O10 0.522 0.749 0.268
O11 0.749 0.478 0.018
O12 0.749 0.522 0.482
O13 0.750 0.035 0.004
O14 0.750 0.965 0.496
O15 0.965 0.250 0.246
O16 0.965 0.750 0.254
```

Principal peaks in the range 2θ = 5–70°, low angle first:
- 17.8°, rel. 31
- 28.9°, rel. 28
- 33.2°, rel. 61
- 35.0°, rel. 100
- 36.0°, rel. 20
- 42.8°, rel. 24
- 52.7°, rel. 20
- 56.5°, rel. 33
- 59.8°, rel. 52
- 62.2°, rel. 23

---

[2]
Calculated X-ray powder pattern
Compound: MnGa2O4
Radiation: Cu Kα (weighted mean of Kα1 and Kα2)
Structure: the PBE+U geometry in Alexandria

```
data_MnGa2O4
_chemical_formula_sum 'Mn2 Ga4 O8'
_symmetry_space_group_name_H-M 'P 1'
_symmetry_Int_Tables_number 1
_symmetry_space_group_name_Hall 'P 1'
_cell_length_a 6.067
_cell_length_b 6.067
_cell_length_c 6.067
_cell_angle_alpha 60.00
_cell_angle_beta 60.00
_cell_angle_gamma 60.00
loop_
_atom_site_label
_atom_site_fract_x
_atom_site_fract_y
_atom_site_fract_z
Mn1 0.125 0.125 0.125
Mn2 0.875 0.875 0.875
Ga1 0.000 0.500 0.500
Ga2 0.500 0.000 0.500
Ga3 0.500 0.500 0.000
Ga4 0.500 0.500 0.500
O1 0.264 0.264 0.264
O2 0.264 0.264 0.708
O3 0.264 0.708 0.264
O4 0.292 0.736 0.736
O5 0.708 0.264 0.264
O6 0.736 0.292 0.736
O7 0.736 0.736 0.292
O8 0.736 0.736 0.736
```

Principal peaks in the range 2θ = 5–70°, low angle first:
- 17.9°, rel. 26
- 29.4°, rel. 22
- 34.7°, rel. 100
- 36.3°, rel. 17
- 42.1°, rel. 27
- 52.2°, rel. 7
- 55.7°, rel. 39
- 61.1°, rel. 47
- 64.2°, rel. 5
- 69.3°, rel. 2
~~~

(Exercise)
Could you set down every line earlier on that contains the word "peaks"?

(Here it is)
Principal peaks in the range 2θ = 5–70°, low angle first:
Principal peaks in the range 2θ = 5–70°, low angle first: